# Excerpt
Record 1
The following is a quantum chemistry calculation of C22H41N2O9PS2 as an isolated structure, from the Open Molecules 2025 dataset.

Calculated values
gap between HOMO and LUMO: 7.99 eV
highest occupied orbital energy: -8.9557 eV
ΔE to the lowest compared entry with this formula, charge and spin: 0.0 kcal per mole

The geometry in ORCA input format:
```
! RIJCOSX wB97M-V def2-TZVPD def2/J DEFGRID3
* xyz 0 1
H -0.1635 -1.9553 3.3985
H -4.1214 0.4928 4.2340
H 1.4680 -2.5910 3.0532
C -0.8885 -7.2947 -0.7437
H 2.0127 0.4172 -5.2274
H -4.7614 1.9879 4.9262
H -0.6455 -2.1139 0.5155
O -2.7419 1.5989 5.1923
H -0.2961 -4.3261 -0.5671
P -3.1505 4.5128 -0.9667
H 0.6299 4.0616 4.2062
S -4.5454 5.7631 -1.3782
H -0.4209 2.0793 5.3967
H 2.8761 3.0447 -6.5569
C -3.3496 3.5937 0.5638
C 0.4080 -2.8549 3.1408
H 4.3647 -2.3157 -2.3799
O 1.7770 1.3441 -3.3753
C 0.2266 -2.7261 0.7824
C -2.4937 2.5169 0.9392
H -5.3025 3.6037 3.3439
H 1.1514 -1.7933 -4.4094
C -2.3557 2.9031 5.6090
H -0.8161 -8.3774 -0.5896
C 3.2842 -2.2860 -2.5117
C -4.5128 3.2706 2.6812
C 1.6484 -1.0873 -3.7290
N -1.8229 0.8418 2.3756
H 0.4048 0.4280 -4.4940
H 4.7636 2.8278 -3.8086
H 3.1735 3.3657 -4.3918
C -4.3312 3.9396 1.4349
C -2.7022 1.8349 2.1814
C -3.7330 2.2375 3.0745
H -2.6576 3.0396 6.6523
H 1.1472 -1.1456 -2.7546
H 0.2937 -3.5824 3.9424
C -3.9050 1.5491 4.4011
O 1.7744 -4.2934 -0.3193
O 3.0129 -1.4356 -3.6051
H -2.8845 3.6566 5.0173
H 3.1293 2.2425 -2.2156
C -0.8471 3.0829 5.4555
H -1.3782 5.2175 0.0586
H -0.9511 4.8348 4.1685
H 1.6176 -5.1452 1.5764
H -0.6770 3.3113 3.3032
H 1.5055 -6.8537 -0.9513
O -1.6814 5.1589 -0.8547
H 3.8256 1.8050 -7.4016
C 1.9172 -5.3966 0.5567
H 4.6425 3.2232 -6.7128
O 4.0037 1.7508 -5.3892
H -1.9331 -6.9990 -0.6613
C 3.1379 1.6418 -3.1288
C 1.2344 -6.6617 0.0938
H 1.0793 -2.0563 0.9488
O -2.9465 3.3443 -2.0327
H 0.6114 -2.9834 -1.2665
H 2.8284 -1.9098 -1.5895
C 3.8287 2.5036 -6.5666
O -0.0700 -3.4547 1.9574
C 1.4706 0.3054 -4.2856
S -0.8474 0.8413 1.1079
C 0.5268 -3.6306 -0.3889
H -0.5330 -7.0573 -1.7525
H 3.7212 0.7389 -2.9347
H 2.9218 -3.3038 -2.6897
N -1.4613 2.0310 0.2448
H -2.8348 3.6976 -2.9253
H 2.9903 -5.6022 0.5645
H -4.9961 4.7473 1.1577
O -0.1708 -6.5798 0.2348
H 1.6133 -7.4944 0.7021
C 3.7948 2.4844 -4.1965
C -0.4443 3.8694 4.2125
H -0.4436 3.5643 6.3470
*
```

---

Record 2
The following is a quantum chemistry calculation of a 2-piece molecular cluster, C22H41N3O6P3S overall, from the Open Molecules 2025 dataset.

Calculated values
gap between HOMO and LUMO: 7.95 eV
highest occupied orbital energy: -11.5109 eV

The geometry in ORCA input format:
```
! RIJCOSX wB97M-V def2-TZVPD def2/J DEFGRID3
* xyz 1 1
H -0.6676 1.2306 1.9711
H -3.9440 2.4485 0.0036
C -1.6673 -2.3162 1.6031
H -5.2291 -2.4543 4.4221
C 6.3480 0.5727 0.7800
C -3.3946 1.2814 1.7180
H -2.5253 -1.4285 -5.4289
C 5.9376 1.1513 2.1145
P -4.2479 1.3712 -2.3166
H -2.7452 1.4274 2.5793
P 0.6586 -0.6130 -3.5335
H 1.3409 -2.1456 -0.8094
C -3.0243 2.1749 0.5079
C 2.3793 1.1385 -1.2199
C -0.2205 1.8592 1.1934
C -2.3304 -3.3393 0.6957
C 0.6752 -2.3314 -2.8617
H 0.9150 -2.9697 -3.7145
H -1.4303 -2.7665 -5.0518
N 1.2080 2.0143 1.3734
C -2.0631 1.5550 -0.4733
H -1.8720 -2.5154 2.6525
H -2.6130 3.1067 0.8940
H -2.0624 -1.7738 -3.7688
H 1.8709 0.9987 3.1336
H -0.5869 -2.3757 1.4851
H -0.8204 0.2037 -5.2731
N -1.6907 0.5267 -2.5561
P -3.5110 -0.4583 1.3004
C -1.6971 -1.7457 -4.7963
H 5.9910 -0.4530 0.7374
O -4.1402 -1.2427 2.5163
H -5.8778 -1.8509 1.5276
H 1.3764 2.8465 1.9193
H 0.1468 -1.1985 -5.7518
H 7.4165 3.0788 0.1828
O -1.9937 -0.9462 1.2769
H -0.6709 2.8450 1.3211
H 2.6509 -2.0713 -1.9548
H 8.4566 2.9448 3.0622
O 6.6641 2.1363 2.6673
C -0.6964 1.3661 -0.1563
H -4.9983 0.2941 -1.8464
H -6.1069 -0.5747 2.7160
H -3.2404 -3.7332 1.1459
C -0.4010 0.2675 -2.3051
N 1.4713 0.4252 -0.8382
H -4.0270 1.1330 -3.6923
C -0.4910 -0.7906 -4.9697
H -5.7331 -3.5464 3.1143
H -2.6026 -2.9022 -0.2637
C -2.5322 1.1451 -1.7037
C -5.5710 -1.5011 2.5104
H -6.9208 -2.4912 3.8318

# Wanted
Set down every line further above that contains the word "structure".

# Reply
The following is a quantum chemistry calculation of C22H41N2O9PS2 as an isolated structure, from the Open Molecules 2025 dataset.